Gravestone and headstone, what's the difference between the two?
The demise of a loved one is one of the most challenging periods in our lives. It is a sad time, and the only thing we can do is celebrate their life and appreciate their wonderful memories of them.
You can feel overwhelmed by all the rituals that need to be held after the death of a loved one, especially if you are taking charge of such things for the first time. You have to plan and decide the best way to remember your loved one after their demise. Planning a memorial for a loved one involves choosing a befitting headstone or a gravestone.
Some people plan it out with their loved ones before their death or you have to choose one on your own. No matter the circumstance, a first-timer can get confused with the terminology for these grave markers. This article will help you understand the difference between a gravestone and a headstone and determine which terminology is more apt.

What is a headstone?
A headstone is a stone you place on top of a grave, usually in line with the head of the deceased person. In the past, a headstone was called a cornerstone. It was initially used to describe a tombstone, but it began to get associated with grave markers. It now represents a slate at the head of a burial plot.
The shift in semantics meant that a headstone would come to represent an upright stone on a grave.
A headstone is placed in cemeteries and you can jot down the deceased person’s bio information, write epitaphs, etc. It is also possible to place a picture of your deceased family member on the headstone if you wish to do so.
It is always best to pre-plan these things before the death of a family member. You can find headstones of different types, so it is up to you to choose which one will be most suitable for your loved one’s grave. Let us look at some of the most common ones.
This headstone type is what you would typically use if you are looking to make multiple designs on your loved one’s grave. A Kerbed headstone has a standard upright stone as you see in most graves.
However, what stands out is the extra stone that covers the full size of the grave. This gives you more space to personalize the grave according to the wish of a deceased family member.
Spacious cemeteries allow kerbed headstones in their graves, but if you are burying your loved one in a packed cemetery, likely, kerbed headstones will not be allowed. So, you should contact the cemeteries first before deciding on a kerbed headstone for your loved one.
Upright Headstones
Upright headstones are the most common headstone types you’ll find in all the cemeteries. It is a stone that you place on top of the grave, which is in line with the dead body’s head.
These upright headstones are used for inscribing the names of loved ones and the dates of their birth and death. Marble and granite are the most common materials used to make upright headstones. It is placed upright on top of a concrete base, with a height of around 3 to 4 feet. The size and height of the upright headstone depend on the design, and also the cemetery’s rules.
Cremation Memorials
Many small traditional headstones are used as cremation memorials, as they are more popular for their ample space. You can use that space to insert information about the deceased, pictures, designs, etc. The cremation memorials are placed down on a concrete foundation, unlike upright headstones.
What is a gravestone?

Unlike a headstone, a gravestone is a slate used to cover the top of a grave or a burial plot. The gravestone can be used as a space to engrave the name of the loved one, biodata, etc. A gravestone’s size is in sync with the size of the grave or casket. It has to act as a piece to cover the grave and shut it permanently.
It is not necessary to fix an upright headstone if there is already a gravestone on the burial plot. The headstone is only an extra extension of the gravestone, meant to incorporate more information about the deceased.
However, you might be confused with the use of gravestones and headstones in the modern era, as they are used synonymously with each other. Let us look at some of the most common types of gravestones used as grave markers in burial plots.
Flat Gravestone
Flat gravestones are placed flat on the top of the burial plot and are the most common gravestone types.
• Between two parts of the entry: calculated molecules:
=====
Entry 1:
Computed, not measured: an isolated molecule of C2H5BrN2O3, with wB97M-V/def2-TZVPD.

The calculation puts the HOMO energy at -0.3770 hartree. The relative energy (zero: lowest compared OMol25 entry of this formula, charge and spin) comes out at 12.4 kJ/mol. The SMILES is CN([C@H](O)Br)[N+](=O)[O-]. The LUMO energy is -0.17 eV.

Positions of all 13 atoms, in Å:
C  -0.480  0.507  -1.237
N  -0.184  -0.205  0.053
C  0.835  0.115  0.932
O  0.679  1.156  1.732
Br  2.653  0.286  -0.296
N  -0.834  -1.444  0.101
O  -1.693  -1.602  -0.689
O  -0.530  -2.147  1.104
H  -0.007  -0.021  -2.055
H  -1.563  0.646  -1.416
H  -0.042  1.564  -1.168
H  1.027  -0.700  1.559
H  0.140  1.845  1.381


Entry 2:
Computed, not measured: C4H5N3 as an isolated structure, with wB97M-V/def2-TZVPD.

The calculation puts the HOMO energy at -0.3303 hartree. The relative energy (zero: lowest compared OMol25 entry of this formula, charge and spin) comes out at 481.5 kJ/mol. The LUMO energy is -0.44 eV.

Positions of all 12 atoms, in Å:
N  2.506  -0.300  -0.273
C  0.449  -0.336  0.010
N  1.355  -1.183  -0.183
C  -1.378  -0.963  0.219
C  -1.949  0.242  0.191
C  -0.955  1.294  0.109
N  0.307  1.033  0.046
H  2.906  -0.327  -1.198
H  3.149  -0.520  0.471
H  -2.125  -1.805  0.295
H  -2.996  0.537  0.216
H  -1.268  2.327  0.099


Entry 3:
Computed, not measured: a 2-piece molecular cluster, C28H35N4O overall, with wB97M-V/def2-TZVPD.

As for the total charge: +1. The calculation puts the HOMO energy at -0.3807 hartree. The relative energy (zero: lowest compared OMol25 entry of this formula, charge and spin) comes out at 0.0 kJ/mol. The LUMO energy is -4.20 eV.

Positions of all 68 atoms, in Å:
C  -1.934  1.058  2.883
C  -0.814  0.161  2.598
N  0.230  0.010  3.456
C  0.400  0.744  4.697
C  1.113  -0.972  2.983
C  0.547  -1.512  1.802
C  1.089  -2.675  1.278
C  2.208  -3.245  1.891
C  2.828  -2.633  2.994
C  2.280  -1.465  3.560
C  -0.628  -0.704  1.476
C  -1.413  -0.766  0.322
C  -1.368  -1.794  -0.666
C  -2.310  -2.821  -0.950
C  -3.580  -3.123  -0.273
N  -1.832  -3.601  -1.959
C  -2.503  -4.773  -2.497
C  -0.596  -3.116  -2.401
C  -0.272  -2.003  -1.584
C  0.984  -1.405  -1.679
C  1.896  -1.937  -2.596
C  1.556  -3.025  -3.417
C  0.295  -3.640  -3.329
H  -2.705  0.845  2.137
H  -2.338  0.893  3.892
H  -1.669  2.121  2.783
H  1.375  0.483  5.107
H  0.369  1.826  4.520
H  -0.377  0.503  5.435
H  0.609  -3.137  0.415
H  2.621  -4.171  1.477
H  3.715  -3.099  3.422
H  2.733  -0.962  4.409
H  -2.219  -0.042  0.268
H  -3.719  -2.376  0.513
H  -4.431  -3.072  -0.962
H  -3.583  -4.122  0.182
H  -1.870  -5.162  -3.297
H  -2.645  -5.550  -1.729
H  -3.488  -4.516  -2.913
H  1.215  -0.573  -1.011
H  2.885  -1.475  -2.670
H  2.309  -3.396  -4.111
H  0.028  -4.492  -3.946
C  -1.038  4.793  1.352
N  0.055  4.268  0.555
C  1.333  4.957  0.753
C  -0.134  3.028  0.013
C  0.826  2.516  -1.063
C  1.441  3.614  -1.961
C  1.261  3.107  -3.399
C  0.632  1.687  -3.269
N  0.080  1.681  -1.934
=====
• So much for the calculated molecules:
Cross Gravestone
Cross gravestones are popular among people who follow the Christian faith. It is one of the most sought-after gravestones in the United States of America.
Another common type of gravestone is the footstone, which is placed at the foot of the burial plot. This is used for engraving the initials of the deceased person.
Slanted Gravestone
Just like the name suggests, the slanted gravestone is placed at a slanting angle, unlike the flat and upright gravestones.
Memorial headstone Unveiling Ceremonies
The memorial headstone unveiling ceremony is a ritual where the headstone of a loved one is unveiled. The timing of the unveiling ceremony depends on different cultures, religions, regions, etc. Some unveil it a few months after the burial, whereas, some people perform this ceremony after two years.
The memorial stone will be engraved with the deceased person’s name, dates of birth and death, and their primary family’s names.

How to memorialize family members forever
Setting up a memorial or a monument for your loved one after their death should be special, and there are various ways to do this. The most common way is to set up a monument on the burial plot and engrave their information and achievements throughout their lives.
You can also set up a scholarship for students who cannot afford higher education in the deceased loved one’s name. It is one of the best ways to memorialize the deceased person. You can create a website dedicated to the life achievements of the dead person, which is a convenient way for everyone to stay connected to the deceased.
How To Decorate A Gravestone
You can only memorialize family members once, and you have to get everything right on the first try. The gravestone should be placed perfectly, with the correct engravings and decorations.
There are various ways to decorate your loved one’s gravestone and make it look beautiful. You can leave flowers on the gravestone and leave candles burning around it. A memorial portrait, hand-written notes, etc., are also great ideas for decorating gravestones.
Why are headstones and gravestones important?
Headstones are a source of identification for deceased persons in the cemetery. These grave markers help families and friends help identify the grave of a deceased person among many other graves.
Headstones allow people to find the grave of a person, where they can go and reminisce on the times spent when the person was alive. These stones also mark a sign of love and respect towards the deceased family member from other extended families.
How To Identify A Good Quality Headstone/Gravestone?
It is common knowledge that gravestones are made of rocks, but no one gives thought to the type of rocks used to make them. Most people select a graveyard monument depending on its attractiveness. However, different factors determine the quality of a gravestone, like durability, looks, etc.
If you are looking for the best rock type for your gravestone, Quartzite is highly recommendable. It is resistant to physical and chemical weathering due to the absence of space for water to see in, so you will not see any broken area. Choosing a quartzite headstone is an excellent investment, as it will last for a long time.
Are Grave Markers The Same As Headstones?
A headstone is an upright stone placed on top of a concrete plaster above a burial spot. It is also called a grave marker generally, as it marks the grave of a deceased person.
Is A Gravestone The Same As A Grave Marker?
A gravestone is the same as a grave marker. A gravestone is a stone that is placed on top of a burial spot, with engravings and other commemorative designs.
Are Gravestones And Headstones The Same As Tombstones?
Gravestones, headstones, and tombstones were different entities in the past, but they have now evolved into the same meaning.
Can You Use The Terms Interchangeably?
You can use headstones, gravestones, and tombstones interchangeably these days. But most people tend to use headstones more commonly than the other words.
Which Material Is Best For A Headstone?
The best material for a headstone is granite or quartzite, as it can last for a long time without giving in to natural elements.
Why Is Granite Used For Headstones?
Granite is not only a durable stone but it is also attractive since it comes in multiple colors.